Material.
____________
{"formula": "C43H60FN8O4PRbSe2Si", "method": "the ωB97M-V functional and the def2-TZVPD basis", "total_charge": -1, "de_lowest_kcal_mol": 8.6, "orbital_gap_ev": 5.71, "mol_weight_g_mol": 1074.451, "species": ["Rb", "C", "O", "C", "C", "C", "C", "C", "C", "O", "C", "O", "C", "H", "H", "H", "H", "H", "H", "H", "H", "H", "Se", "Se", "C", "C", "C", "C", "C", "N", "C", "C", "C", "C", "C", "N", "H", "H", "H", "H", "H", "H", "H", "H", "C", "Si", "C", "C", "N", "C", "C", "C", "C", "C", "C", "F", "H", "H", "H", "H", "H", "H", "H", "H", "H", "H", "H", "H", "H", "O", "N", "N", "P", "N", "C", "C", "C", "C", "C", "N", "C", "C", "C", "C", "C", "N", "C", "C", "C", "C", "C", "H", "H", "H", "H", "H", "H", "H", "H", "H", "H", "H", "H", "H", "H", "H", "H", "H", "H", "H", "H", "H", "H", "H", "H", "H", "H", "H", "H", "H", "H"], "positions_angstrom": [[0.1657, 0.2769, -0.0958], [3.9631, 5.4395, 5.6675], [3.9615, 4.5096, 4.6109], [2.7465, 4.1618, 4.0723], [1.5265, 4.6309, 4.5992], [0.3694, 4.1987, 3.9875], [0.3363, 3.3411, 2.8791], [-0.9498, 2.9309, 2.3143], [-2.2472, 3.2202, 3.0566], [-1.0593, 2.3012, 1.2649], [1.5956, 2.8488, 2.3433], [1.6809, 2.0509, 1.3732], [2.7818, 3.3129, 2.9997], [5.0083, 5.6306, 5.9024], [3.4635, 5.0381, 6.5549], [3.4808, 6.3781, 5.3790], [1.4772, 5.2992, 5.4451], [-0.5635, 4.5608, 4.3972], [-2.2710, 4.1541, 3.6106], [-2.4160, 2.4086, 3.7700], [-3.0540, 3.2100, 2.3266], [3.7344, 2.9519, 2.6326], [0.7130, -2.5680, 4.2611], [-0.7067, -3.7568, 2.8578], [-2.0886, -2.4358, 2.5969], [-3.3921, -2.8198, 2.8914], [-4.4117, -1.9108, 2.6603], [-4.0880, -0.6596, 2.1644], [-2.7532, -0.3810, 1.9084], [-1.7641, -1.2502, 2.1154], [2.1795, -2.2038, 3.0607], [3.4223, -2.6959, 3.4486], [4.5196, -2.4000, 2.6574], [4.3251, -1.6536, 1.5092], [3.0396, -1.2254, 1.2061], [1.9831, -1.4775, 1.9754], [-3.5954, -3.8010, 3.2981], [-5.4404, -2.1763, 2.8713], [-4.8429, 0.0865, 1.9614], [-2.4572, 0.5822, 1.5070], [3.5164, -3.2994, 4.3407], [5.5043, -2.7613, 2.9277], [5.1435, -1.4040, 0.8476], [2.8568, -0.6593, 0.3013], [-3.6524, -2.2769, -3.7271], [-3.3301, -1.4343, -2.0680], [-5.0242, -1.0249, -1.3381], [-2.5483, -2.7309, -0.9563], [-2.3054, -0.0972, -2.2106], [-2.5845, 1.0642, -2.8036], [-3.7517, 1.4154, -3.5422], [-3.9378, 2.6660, -4.1126], [-2.9854, 3.6706, -3.9967], [-1.8127, 3.3809, -3.2928], [-1.6459, 2.1327, -2.7613], [-0.4629, 1.8329, -2.1425], [-4.4006, -3.0694, -3.6236], [-2.7322, -2.7271, -4.1073], [-4.0123, -1.5685, -4.4768], [-5.5372, -1.9479, -1.0472], [-5.6674, -0.4859, -2.0362], [-4.9120, -0.4057, -0.4484], [-2.7280, -3.7415, -1.3331], [-2.9533, -2.6838, 0.0552], [-1.4663, -2.5905, -0.8967], [-4.5257, 0.6662, -3.6560], [-4.8574, 2.8584, -4.6549], [-3.1440, 4.6526, -4.4212], [-1.0404, 4.1297, -3.1495], [1.1907, -2.1450, -1.2222], [1.2487, -1.4445, -2.2309], [2.0145, -0.3768, -2.0595], [2.3864, 0.7260, -3.1918], [2.6786, 2.1232, -2.3999], [2.0312, 3.4199, -2.6507], [1.9355, 4.1827, -1.3382], [3.3337, 4.5494, -0.8402], [4.3239, 3.3886, -1.0628], [3.5937, 2.0679, -1.2366], [3.8688, 0.2431, -3.7671], [4.1635, -1.1870, -3.9355], [4.6362, -1.4744, -5.3530], [5.9443, -0.7231, -5.6560], [6.0709, 0.5242, -4.7747], [4.7048, 1.1528, -4.5543], [1.2777, 1.0049, -4.3542], [0.1701, 0.0514, -4.6354], [-0.7330, 0.6273, -5.7121], [0.0221, 0.8816, -7.0207], [1.4273, 1.4545, -6.7514], [1.4922, 2.0548, -5.3566], [1.0429, 3.2357, -3.0557], [2.5985, 4.0062, -3.3897], [1.4174, 3.5550, -0.6086], [1.3277, 5.0799, -1.4770], [3.2923, 4.8222, 0.2154], [3.6837, 5.4317, -1.3858], [4.9969, 3.2930, -0.2081], [4.9541, 3.5820, -1.9375], [3.0214, 1.8570, -0.3309], [4.2945, 1.2452, -1.3938], [3.2773, -1.7681, -3.6935], [4.9367, -1.4939, -3.2202], [3.8506, -1.1700, -6.0500], [4.7651, -2.5507, -5.4804], [5.9684, -0.4288, -6.7082], [6.8044, -1.3775, -5.5002], [6.7449, 1.2532, -5.2284], [6.4942, 0.2675, -3.8005], [4.2601, 1.3708, -5.5363], [4.7885, 2.1009, -4.0173], [-0.3933, -0.1382, -3.7227], [0.5835, -0.9067, -4.9699], [-1.1897, 1.5488, -5.3455], [-1.5594, -0.0683, -5.8653], [-0.5524, 1.5760, -7.6377], [0.1065, -0.0456, -7.5935], [1.6968, 2.2065, -7.4973], [2.1835, 0.6646, -6.8098], [0.7315, 2.8352, -5.2383], [2.4541, 2.5368, -5.1764]], "forces_ev_per_a": [[-0.50, -0.17, 0.82], [-0.01, -0.04, 0.02], [0.03, 0.02, -0.08], [0.05, 0.02, 0.12], [-0.04, -0.06, -0.12], [0.00, 0.03, 0.03], [-0.17, 0.04, 0.11], [0.26, -0.03, -0.14], [-0.03, 0.00, 0.05], [-0.13, 0.22, 0.18], [-0.04, -0.09, -0.12], [0.14, 0.01, -0.05], [-0.04, 0.05, 0.04], [0.00, 0.00, 0.01], [0.00, 0.04, 0.00], [0.01, 0.00, 0.02], [0.01, -0.01, -0.01], [0.00, 0.00, 0.02], [0.00, 0.04, -0.04], [0.00, 0.00, 0.01], [-0.01, -0.01, 0.00], [0.01, 0.00, -0.01], [-0.16, -0.08, -0.13], [0.13, 0.13, 0.10], [-0.06, -0.10, 0.05], [-0.02, -0.02, 0.01], [-0.03, 0.05, -0.01], [0.05, -0.13, 0.04], [0.06, 0.18, -0.07], [-0.03, 0.03, -0.02], [0.18, 0.02, 0.09], [0.01, 0.01, 0.03], [0.02, 0.00, -0.03], [-0.04, 0.02, 0.01], [0.03, 0.09, -0.03], [-0.06, -0.09, -0.01], [0.02, 0.00, 0.00], [0.00, 0.00, 0.00], [-0.02, 0.01, 0.01], [-0.03, 0.04, 0.01], [-0.02, 0.00, -0.01], [0.00, 0.00, 0.00], [0.01, 0.00, 0.00], [0.01, -0.01, -0.01], [-0.11, -0.09, -0.05], [0.12, 0.13, -0.18], [-0.12, -0.11, -0.03], [0.08, -0.01, 0.02], [0.13, -0.01, 0.22], [-0.13, 0.09, -0.08], [-0.01, 0.04, 0.01], [0.02, -0.03, 0.01], [-0.01, 0.02, 0.01], [0.02, 0.06, -0.05], [-0.02, -0.31, 0.02], [0.01, 0.48, 0.03], [0.02, -0.03, -0.04], [0.03, -0.01, 0.00], [-0.01, 0.02, -0.02], [-0.04, 0.02, 0.02], [-0.01, -0.01, -0.02], [0.01, 0.03, 0.04], [-0.04, -0.01, -0.02], [-0.01, 0.01, 0.06], [0.01, -0.02, -0.01], [-0.01, -0.01, -0.01], [0.00, 0.02, -0.01], [-0.01, 0.01, -0.01], [0.00, -0.04, -0.02], [-0.15, 0.02, -0.30], [0.54, -0.22, -0.25], [0.07, -0.01, -0.40], [-0.18, -0.36, 0.70], [0.29, 0.30, -0.34], [-0.11, -0.16, 0.15], [-0.09, -0.01, -0.04], [0.02, 0.07, -0.02], [0.04, 0.04, 0.02], [-0.05, -0.09, -0.03], [0.13, -0.09, -0.19], [0.00, 0.01, 0.02], [-0.02, -0.05, -0.02], [0.01, -0.02, -0.04], [0.06, 0.05, 0.04], [-0.03, 0.05, 0.08], [-0.10, 0.15, -0.15], [0.09, 0.02, 0.07], [-0.05, -0.01, 0.02], [-0.01, -0.02, -0.03], [0.03, 0.00, -0.05], [0.00, -0.02, 0.04], [-0.04, 0.02, -0.04], [0.05, -0.01, 0.06], [0.02, 0.02, 0.03], [0.02, 0.00, -0.03], [-0.03, -0.06, 0.01], [0.03, 0.00, 0.05], [0.01, 0.01, -0.01], [-0.04, -0.01, -0.03], [0.02, -0.02, 0.05], [0.03, 0.04, -0.02], [-0.02, 0.00, -0.04], [-0.01, 0.01, 0.01], [-0.01, 0.02, 0.01], [0.01, 0.00, -0.02], [-0.02, -0.01, 0.00], [0.01, 0.00, 0.04], [-0.01, 0.00, -0.01], [0.00, -0.01, 0.00], [0.01, -0.01, -0.01], [-0.01, 0.00, 0.00], [-0.03, -0.01, 0.01], [0.00, -0.02, -0.03], [0.02, 0.01, 0.01], [0.01, -0.01, -0.02], [0.00, 0.00, 0.00], [0.01, 0.00, 0.01], [-0.01, 0.00, 0.01], [-0.02, -0.01, -0.01], [0.00, -0.01, -0.06], [-0.02, -0.04, -0.02]]}
____________

What to do.
Count the lines further up that contain the word "mol_weight_g_mol" and give the number alone, please.

Written answer.
1